The Great Reset Needs Trump
October 27, 2020

I believe Donald Trump will be “re-elected.” The consolidation of global governance we are witnessing needs civil unrest to continue unrolling.
Trump voters are not going to supply that chaos if Biden is elected.
It’s hard to imagine any other outcome.
— Comments —
Katherine writes:
I think you are right. Trump will be “selected” again. It’s the same plan as in 2016: the ((Controllers)) put up a totally wretched Democrat ticket that funnels voters to Trump. In 2016, Hillary maybe didn’t realize that she was being used? Do Joe and Kamala realize that they are being used? Or are they all in on the scam?
Lots of Trump supporters/conservatives/patriots who comment on Internet sites say that Trump needs to win so that “we have a little more time.” But time to do what? I don’t see Trump supporters, et al out there now organizing against masks and lockdowns. If Trump wins, all those conservative types will just remain in their current passive mode and expect Trump to wave some magic wand and make everything better.
Trump’s SCOTUS nomination was brilliant: it further pacified conservatives and reassured them they can trust Trump. I have been astounded at how many conservatives think ACB is wonderful because she has those seven children. But she obviously does not take care of them; apparently an aunt has been tasked with that job (according to one of the articles in your post about ACB). Conservatives may be “pro-life”, but they are not “pro-family” or “pro-motherhood”.
As always, thanks for your excellent posts!
Laura writes:
Thank you.
Trump rallies are a bunch of unemployed white people cheering on their abuser.
John E. writes:
You may be right – it sounds plausible. But as E. Michael Jones (who is no quietist) has been wont to say in recent years, “God is in control of human history.”
Laura writes:
Here is another important aspect, I believe, of this election:
Biden must seem to be ahead so that Trump can “steal the election.” That’ll stir things up.
MarkyMark writes:
I think that Donald Trump will be “selected” as one of your commenters said. Wasn’t it FDR who said that Presidents are selected, not elected? I think so.
I think that his selection would promote controversy, riots, etc. That would prompt people to the right of Chairman Mao to beg for law and order, and the Feds would be more than happy to oblige. That would be in line with what John Whitehead said.
I think that the rioting is being allowed to continue. Donald Trump, as POTUS, has at least three legal justifications for putting a stop to the rioting right now, and he hasn’t done it.
One, many of these jokers have committed their crimes in multiple states; that makes their crimes interstate, so the Feds could get involved. Two, according to Federal law and probably ATF regulations, Molotov cocktails are considered destructive devices; since they (the cocktails) have been used at many of the riots, the BATF would have justification to get involved. Finally, the assets of these groups could be frozen, as could the assets of George Soros and his NGOs, such as the Open Society. Shoot, the NY Times had a story about Soros giving $220 MILLION to his pet causes; it’s a matter of public record! Well, if you starve the beast, it’ll die. We all know who’s paying for Antifa and BLM to riot; why not freeze their assets, so they’re financially starved?
So, that got me to thinking. WHY hasn’t Donald Trump used these avenues open to him? Why not put a stop to the rioting? To ask the questions is to answer them.
┌──
(1)
Starting from the GGA-PBE geometry in the Materials Project, the powder X-ray diffraction pattern of LaB4 was simulated for Cu Kα, 1.54184 Å.

Peak list (10 most intense, 2θ from 10° to 90°, sorted by position)
Position (°2θ)  intensity
21.2  55
24.4  38
27.3  73
32.5  58
34.8  100
44.8  20
51.5  31
51.9  26
56.4  35
69.5  25

Structure:
Lattice parameters (Å, degrees): 7.311 7.311 4.183 90.00 90.00 90.00
Atoms (fractional coordinates):
La: 0.184 0.316 0.000
La: 0.316 0.816 0.000
La: 0.684 0.184 0.000
La: 0.816 0.684 0.000
B: 0.000 0.000 0.206
B: 0.000 0.000 0.794
B: 0.039 0.826 0.500
B: 0.089 0.589 0.500
B: 0.174 0.039 0.500
B: 0.326 0.539 0.500
B: 0.411 0.089 0.500
B: 0.461 0.326 0.500
B: 0.500 0.500 0.206
B: 0.500 0.500 0.794
B: 0.539 0.674 0.500
B: 0.589 0.911 0.500
B: 0.674 0.461 0.500
B: 0.826 0.961 0.500
B: 0.911 0.411 0.500
B: 0.961 0.174 0.500

=====

(2)
Starting from the GGA-PBE geometry in the Materials Project, the powder X-ray diffraction pattern of Zn3Sn3Se9NO4 was simulated for Cu Kα, 1.54184 Å.

Peak list (10 most intense, 2θ from 10° to 90°, sorted by position)
Position (°2θ)  intensity
15.5  71
17.6  84
18.8  45
19.0  49
25.4  59
27.7  100
27.9  91
29.4  56
36.0  50
36.2  46

Structure:
Lattice parameters (Å, degrees): 7.637 7.845 10.234 105.53 108.57 95.69
Atoms (fractional coordinates):
Zn: 0.000 0.000 0.000
Zn: 0.170 0.483 0.713
Zn: 0.782 0.531 0.347
Sn: 0.201 0.919 0.487
Sn: 0.482 0.233 0.948
Sn: 0.605 0.293 0.602
Se: 0.121 0.564 0.344
Se: 0.275 0.465 0.952
Se: 0.295 0.893 0.816
Se: 0.353 0.520 0.562
Se: 0.548 0.958 0.456
Se: 0.593 0.224 0.212
Se: 0.799 0.311 0.891
Se: 0.859 0.546 0.609
Se: 0.873 0.004 0.231
N: 0.748 0.761 0.315
O: 0.058 0.134 0.214
O: 0.184 0.884 0.944
O: 0.806 0.851 0.062
O: 0.852 0.096 0.853

=====

(3)
Starting from the GGA-PBE geometry in the Materials Project, the powder X-ray diffraction pattern of LiAl4Zn2O8 was simulated for Cu Kα, 1.54184 Å.

Peak list (10 most intense, 2θ from 10° to 90°, sorted by position)
Position (°2θ)  intensity
18.2  83
18.7  26
31.4  26
32.4  83
36.1  100
36.4  35
38.0  37
44.7  55
45.4  23
60.1  56

Structure:
Lattice parameters (Å, degrees): 6.236 6.236 6.236 125.66 124.74 81.20
Atoms (fractional coordinates):
Li: 0.000 0.000 0.000
Al: 0.242 0.242 0.000
Al: 0.457 0.957 0.500
Al: 0.786 0.040 0.255
Al: 0.786 0.531 0.745
Zn: 0.298 0.566 0.732
Zn: 0.834 0.566 0.268
O: 0.045 0.330 0.714
O: 0.067 0.851 0.217
O: 0.125 0.370 0.245
O: 0.125 0.880 0.755
O: 0.589 0.333 0.744
O: 0.589 0.846 0.256
O: 0.616 0.330 0.286
O: 0.634 0.851 0.783

=====

(4)
Starting from the GGA-PBE geometry in the Materials Project, the powder X-ray diffraction pattern of K2TlSbF6 was simulated for Cu Kα, 1.54184 Å.

Peak list (10 most intense, 2θ from 10° to 90°, sorted by position)
Position (°2θ)  intensity
18.4  67
26.1  100
37.2  39
41.8  32
46.0  42
53.6  25
57.2  16
60.6  20
73.3  22
85.2  11

Structure:
Lattice parameters (Å, degrees): 6.837 6.837 6.837 60.00 60.00 60.00
└──
Laura writes:
Good points.
== Calculated crystals from another source follow ==
=====
Starting from a structure optimized by DFT (PBE), the powder X-ray diffraction pattern of RbP2PdO6 was calculated for Cu Kα X-rays.
Lines closer than 0.1° are merged.

Peak list (8 most intense, 2θ from 10° to 90°, in order of rising 2θ)
- 2θ 20.2, d 4.401, I 22, hkl 0 1 2
- 2θ 26.2, d 3.398, I 100, hkl 1 0 4
- 2θ 31.0, d 2.887, I 38, hkl 1 1 0
- 2θ 37.2, d 2.414, I 13, hkl 2 0 2
- 2θ 41.0, d 2.200, I 15, hkl 0 2 4
- 2θ 42.9, d 2.109, I 18, hkl 2 -1 6
- 2θ 43.0, d 2.101, I 22, hkl 0 1 8
- 2θ 52.3, d 1.750, I 20, hkl 3 -1 4

a = 5.7748 Å, b = 5.7748 Å, c = 18.5264 Å
α = 90.00°, β = 90.00°, γ = 120.00°
Space group R-3 (No. 148, hexagonal axes)
Symmetry-distinct sites (fractional):
=====
== End of the calculated crystals ==
Trump’s also needed to sell the vaccine.